
I’d like to thank all the individuals below whom I have had the privilege of working with, who kindly shared their testimonials.

  • Health Coaching for improved nutrition, blood sugar levels, eating habits & mindset, reduction in sugar cravings and weight loss

    “I was quite interested in receiving help from Nai Ann after she was referred to me by my doctor. She helped me improve my nutrition and eating habits with a positive and supportive approach, each session with Nai Ann was very helpful and informative.

    Nai Ann helped me get a better perspective on my diet and improved my mindset when it came to eating. The outcome has been reduced sugar cravings, lower/ normalised blood sugar levels, weight loss and better eating habits.

    I highly recommend Nai Ann to help with your health issues that need improving. I will also continue to use her services to continue improving my health. Also, Nai Ann always sends a follow up and further information after our session. She goes above and beyond in wanting to help me improve my health and thinking.

    ~ Sam Keidge, Chef

  • Neuro Linguistic Programming (NLP) Coaching helped change limiting beliefs and built more confidence

    "It was a hugely eye-opening experience to go through a therapeutic NLP Coaching Process with Nai Ann that helped me change certain limiting beliefs about myself. Not only did I gain clarity on my purpose (the why) but she also helped me build more confidence in myself, my talents and skills (the what), which I am determined to nourish further and keep pursuing.

    Nai Ann created a safe environment where I wasn’t afraid to explore my limiting beliefs and upon taking a closer look, discovered how small and of little importance my worries were in comparison to the impact I could have and the difference I could make by taking action.

    I have come to the realisation that embracing any (seemingly difficult) obstacles will have a growth effect and support me to become a multiplier and eventually fulfil my purpose. Thank you!”

    ~ Michaela G., Information Technology Professional

  • Beautiful & Amazing Breakthroughs in Different Parts and Aspects of Life

    “If you’re looking for breakthroughs, then having sessions and spending time with Nai Ann Lee is the absolute way to go. She is INCREDIBLE! I have been working with her for quite some time over the years, and every time I work with her, I have beautiful and amazing breakthroughs in different parts and aspects of my life - in terms of breaking through limiting beliefs, clearing emotions that have been stored in my body and keeping me trapped, working on trauma and past experiences. 

    So if these are the things that resonate with you, or even if you don’t know what it is that you're looking for, but you know that you’re looking for guidance and support and healing, then Nai Ann Lee is a beautiful woman who is so soulful and soul-based. And she is absolutely able to help and support you through your challenges.

    I can go on and on about how amazing Nai Ann is….she has so many different tools that she adds to her toolkit - things like Emotional Freedom Technique (EFT), Neuro Linguistic Programming (NLP), Applied Kinesiology, Health Coaching….she’s also trained in Frequency Specific Microcurrent (FSM), and I’m sure there’s a whole heap more. And these are just some of the foundational modalities that she uses….so, she can help you in so many different ways and areas of your life.
    So, do reach out to Nai Ann…she’s AMAZING!

    ~ Lisa Gumieniuk, Holistic Health Practitioner

  • Functional Medicine & Emotional Health Coaching helped with Health Issues and Stress Levels

    “I spoke to Nai Ann at a point where I had a few health issues that were starting to cause me grief in my day to day living. I had a highly demanding job which I felt I was failing at. Nai Ann has an intimate knowledge with many different modalities which was very beneficial in helping me uncover how all the different areas in my life were intertwined with one another.

    I was about to start a new role and was worried about repeating the mistakes of the past. Here, Nai Ann completed Health Coaching and also Emotional Freedom Technique (EFT) sessions with me which helped me break out of the cycle I had been in. She provided many tools that I could use throughout the day to manage my stress levels and this has been a blessing for me so far! Health wise, she honed in on a few of my major issues and we brainstormed action plans to get this treated.

    I have absolutely benefitted from sessions with Nai Ann and highly recommend her services. She is professional, down to earth, easy to open up to, and has a varied tool kit in her bag that enables a 360 degree view in bringing back wholesomeness into your life.

    ~ Suz Singh, Finance Professional

  • Neuro Linguistic Programming (NLP) & Emotional Freedom Technique (EFT) helped with Emotional Barriers & Goals

    “Although I had originally planned to work with Nai Ann on health goals, I was immediately drawn to her genuine empathy and felt she would be of great help with emotional barriers and goals.

    I felt connected and safe in our shared space and she intuitively understood my needs. I felt a sense of relief as we worked together and really liked the practical aspects of the exercises she taught me, and found them easy to understand and practise.

    I would have no hesitation in recommending Nai Ann to others simply because I think she “gets it” and works with her clients without judgment or pressure. And she is a genuinely lovely person.”

    ~ Azra A., Senior Manager

  • Warmth & care for clients provides a safe place & comforting environment aids in the healing process

    “I have known Nai-Ann for over 3 years and I can say she is one of the most intelligent, knowledgeable and driven people I know. Through her life experience and all her studies she has gained a wealth of understanding and experience in the field of Psychology as well as the body-mind connection.
    Her modalities stretch from Neuro Linguistic Programming (NLP) to Health Coaching and Kinesiology to name a few. She uses these modalities to structure a unique set of treatment options for each client individually which makes her unique in her approach. Her warmth and care for her clients provides a safe place and comforting environment which aids in the healing process. I highly recommend Nai Ann.”

    ~ Genine Raats, NLP Master Practitioner, Coach and Hypnotherapist

  • Functional Medicine & Emotional Health Coaching sessions helped with health issues, stresses, overwhelm & anxiety

    “I sought Nai Ann’s help for stress-related issues in my life that manifested in uncomfortable and unexpected physical symptoms. I experienced a lot of overwhelm and stress at my previous workplace that affected me badly for many years. I also had a lot of anxiety, worry, felt very unsure about myself and even doubted my capabilities at work.

    Nai Ann used powerful therapeutic techniques which helped me tap into and clear my emotional responses to stressful events of the past and present. At the end of my sessions with her, I felt a lot calmer, lighter, and it also reduced the default stress levels that I was already carrying within me. She also empowered me with many tips and techniques that I could use on my own, in order to manage my stress levels.

    I became more resilient to stressful situations over time, and was able to handle future work situations with a clearer head space - from a place of calm and confidence. My physical symptoms also improved over time.

    I would highly recommend working with Nai Ann if you encounter any health issues, stresses, overwhelm or anxiety in your life - she is amazing at what she does as a health practitioner and coach, with a caring, positive and supportive approach.

    ~ Grace Win, Human Resources Professional

  • Emotional Healing Techniques helped reduce stress & anxiety, and built confidence

    "I was feeling very stressed and anxious over a few personal issues in my life, and sought Nai Ann's help a few times.

    Nai Ann used kinesiology a few times to help me with the stressful situations that I had. Nai Ann used techniques called ‘Emotional Stress Release’ alongside other kinesiology balancing techniques, which helped reduce my stress and anxiety levels immediately, bringing me to a state of calm, peace, positivity and more energy.
    She also equipped me to handle future 'potentially stressful' situations with much ease and I gained the confidence to handle stress.

    I would highly recommend Nai Ann as she is highly skilled in kinesiology and Emotional Stress Release, gets you the results that you need, and she is also a kind, warm and caring practitioner/ therapist."

    ~ Michelle H., Nurse

  • Neuro Linguistic Programming (NLP) & Emotional Freedom Technique (EFT) as tools to change my life for the better

    “Nai Ann's approach to health and wellbeing is caring, perceptive and knowledgeable. With her amazing skill set, Nai Ann was able to address my dysfunctional mindsets and within several sessions, I noticed significant change with how I approached life's challenges.

    More importantly, I learnt skills and simple tools that will continue to change my life for the better. I would highly recommend her services.

    ~ Lyn T, General Practitioner (GP)

  • Emotional Health Coaching sessions helped decrease my stress levels & I regained control over my health & wellbeing

    “I sought out treatment with Nai Ann in order to deal with some negative emotional experiences I was dealing with, which were starting to negatively impact my health.

    Nai Ann is very approachable and supportive. She put me at ease as I described where I was in my life and the issues that I felt were derailing me.

    She very quickly understood my situation and used several modalities to support me, including NLP timeline therapy, colour balancing and EFT, all of which have helped me decrease my stress levels and allowed me to regain control over my health and wellbeing. I’ve had several sessions with Nai Ann now and can say that after each session, I have felt more calm, confident and resilient. She has helped me in quite a profound way, which has been invaluable.

    ~ F. Henry, Brisbane

  • Soothing Emotional Freedom Technique (EFT) group tapping session as a tribute to honour the life of a special friend

    “Nai Ann facilitated a group tapping session to honour the life of a special friend, and helped us acknowledge and process our feelings.

    Nai Ann’s session was conducted with professionalism, grace and respect. The session was soothing and greatly appreciated by each member of the group.

    A beautiful tribute, thank you Nai Ann!”

    ~ Naomi Lees, Health Coach

  • Effective, Empathetic & Intelligent Coach helped me gain knowledge of how Functional Medicine benefits me in nutrition & exercise

    Nai Ann is a very effective, empathetic and intelligent coach. She has excellent knowledge of functional medicine and she helped me understand its philosophy and how it can benefit me in terms of nutrition and exercise. She possesses superb communication skills, and is very empathetic and patient as she took time to clarify my doubts. I strongly recommend Nai Ann's coaching to anyone who wants to meet their health goals.”

    ~ Ethan, Working Professional

  • Functional Medicine Health Coaching helped manage symptoms of hives

    “I approached Nai Ann to help with hives I had had for close to 2 months and only manageable with antihistamines which I wanted to stop, but the itching was quite unbearable.

    Nai Ann put me on a low histamine elimination diet for 4 weeks. She helped me keep on top of what I was eating with a "live" tracking document where she could read what I had eaten and to give me feedback or encouragement.

    Within the first week, my hives had reduced and by the end of the 4 weeks, the hives had almost been disappeared. It was such a relief and Nai Ann was very supportive and would check in on me regularly. I'm very glad I trusted the process and her guidance. Thank you, Nai Ann!” 

    ~ Cheryl Leong, Entrepreneur

  • Emotional Health Therapy helped me Get More Centred & Relaxed in Uncertain Times

    “Namaste Nai Ann. I just wanted to say thank you for the Metaphysical Anatomy Technique (MAT) & NLP session the other day...

    It really helped me to get more centred and relaxed... It was a blessing and a comfort to connect with you that day....

    Things are still uncertain in my life but I’m feeling more supported now that I’m here and settled, and am positive that things will become clearer soon.

    Thanks again for your all help.“

    ~ Corinne Cooke, Holistic Practitioner, Yogini & Ayurveda Consultant

  • Health Coaching with Psychological and Motivational Support helped with Health Journey & Created Space for Valuable Personal Insights

    “I wasn’t sure what to expect from working with a functional medicine health coach when I embarked on a dietary protocol as part of a clinician-supervised gut healing programme.

    However, just as food and supplements are an important aspect of this, so too is having the right psychological and motivational support to ensure you stay on track, and get you back on track when you veer off!

    Nai Ann knew the right questions to ask, and the direction in which to nudge me, to help me figure out what I needed to do to commit to it. Not only did it help with my health journey; it also created space for valuable personal insights.

    ~ Sonja A.

  • Mind-Body Techniques & NLP Coaching helped me to fulfil my potential personally & professionally

    “Working with Nai Ann has been a wonderful experience. She helped me become more aware of my body and mind, and listen to them. In a professional context it helped me feel more confident in my own abilities, being ok with being me.

    I thoroughly enjoy Nai Ann’s guidance through our sessions that she runs by combining exploration with exercises, always something new, different and eye-opening! The follow-up email that she sends promptly after each session provides me with a re-cap and a brief homework and is super handy for reflection.

    If you get a chance to work with Nai Ann, go for it and take the opportunity to fulfil your potential and create a healthier you!

    ~ M. Grill, Customer Success Professional

  • Supportive Help received through multiple Trauma Based modalities knowledge and Emotional Processing (Grief Healing)

    "Nai Ann brings this unique ability of being composed and confident yet efficient, empathetic and thought provoking, in her coaching sessions. I had initially approached her to help me deal with physical pain and in a single session she managed to uncover and heal a deeply hidden unhelpful belief, using her knowledge and skills of multiple trauma based modalities.

    Her commitment to seeing to my wellbeing and holding me accountable, during and after our sessions were commendable and are much appreciated. I have come out from our sessions feeling energised and supported.

-- Here the page breaks off for materials data --
=====
# 1
Material: Sm2Ho3Mg
Method: DFT, PBE
State: relaxed

Calculated values
For the formation energy from the elements, the calculation gives 0.39 eV/atom. The electronic total energy is -22.41 eV for the cell shown.

Structure (POSCAR):
```
Sm2Ho3Mg
1.0
3.302 0.000 0.000
0.000 11.727 0.000
-1.651 -5.864 5.005
Sm Ho Mg
2 3 1
Direct
0.829 0.573 0.658
0.171 0.915 0.342
0.664 0.658 0.329
0.000 0.012 0.000
0.336 0.329 0.671
0.500 0.255 0.000
```

---

# 2
Material: Sm3Ho4Mg2
Method: DFT, PBE
State: relaxed

Calculated values
For the formation energy from the elements, the calculation gives 0.01 eV/atom. The electronic total energy is -35.57 eV for the cell shown.

Structure (POSCAR):
```
Sm3Ho4Mg2
1.0
-4.610 -0.257 1.726
-0.766 -7.204 -3.119
4.934 -0.547 6.059
Sm Mg Ho
3 2 4
Direct
0.000 0.000 0.000
0.112 0.665 0.224
0.888 0.335 0.776
0.670 0.000 0.339
0.330 0.000 0.661
0.779 0.670 0.557
0.443 0.666 0.887
0.557 0.334 0.113
0.221 0.330 0.443
```

---

# 3
Material: Sm3HoMg8
Method: DFT, PBE
State: relaxed

Calculated values
For the formation energy from the elements, the calculation gives -0.09 eV/atom. The electronic total energy is -32.51 eV for the cell shown.

Structure (POSCAR):
```
Sm3HoMg8
1.0
-4.077 2.803 -3.545
-1.829 -2.610 -5.186
-9.301 -4.454 1.950
Mg Ho Sm
8 1 3
Direct
0.437 0.437 0.189
0.937 0.437 0.189
0.437 0.937 0.189
0.439 0.938 0.686
0.938 0.439 0.686
0.938 0.938 0.686
0.688 0.688 0.937
0.187 0.187 0.438
0.875 0.875 0.375
0.999 0.999 0.002
0.375 0.375 0.874
0.500 0.500 0.499
```

---

# 4
Material: Sm12Ho7Mg
Method: DFT, PBE
State: relaxed

Calculated values
For the formation energy from the elements, the calculation gives 0.70 eV/atom. The electronic total energy is -76.37 eV for the cell shown.

Structure (POSCAR):
```
Sm12Ho7Mg
1.0
-9.422 -0.314 3.096
3.195 -9.217 -1.811
5.653 4.140 7.025
Ho Sm Mg
7 12 1
Direct
0.000 0.500 0.000
0.500 0.000 0.000
0.500 0.000 0.500
0.500 0.500 0.500
0.500 0.500 0.000
0.000 0.000 0.500
0.000 0.500 0.500
0.247 0.753 0.000
0.506 0.753 0.753
0.753 0.753 0.506
0.247 0.247 0.494
0.494 0.247 0.247
0.753 0.247 0.000
0.000 0.753 0.247
0.753 0.000 0.247
0.247 0.494 0.247
0.753 0.506 0.753
0.000 0.247 0.753
0.247 0.000 0.753
0.000 0.000 0.000
```

----------

Entry from the Alexandria database: a geometry-optimized CrGaIrO6 structure (GGA+U).

Results
=====

    During one of our subsequent sessions, I had recently undergone a personal loss and Nai Ann gently adapted that session for grief healing. It was a cathartic and powerful session that helped me tremendously in releasing emotions, in accepting and dealing with my loss.

    I would highly recommend Nai Ann as your go-to coach/therapist if you are feeling stuck in any aspect of your life and would like to move forward."

    ~ Sonali Dheer, Mindset Coach

  • Medical Practice Owner's (Doctor's) Feedback on Workshop: Understanding Mind-Body (NLP) Concepts in the Context of Healthcare

    “I invited Nai Ann to speak to our Genbiome patient community about understanding Neuro Linguistic Programming (NLP) concepts in the context of healthcare.

    The information was not only crystal clear, but was delivered in a way that was very easy to receive with the practical examples demonstrated.

    What she shared struck a deep resonance with many of us, allowing reflection on very important healing principles. Thank you for a valuable presentation and workshop!”

    ~ Dr Christabelle Yeoh, Next Practice care of Genbiome.

Are you ready to transform your health?

 If you would like to discuss a strategy of how I can help you transform your health, please contact me via the button below.